
Letters & Testimony

Alabama Arise comments in opposition to federal plan to evict mixed-status immigrant families

The U.S. Department of Housing and Urban Development (HUD) is proposing a rule that would bar tens of thousands of “mixed-status” immigrant families from living in public housing and Section 8 programs. These families include both members who are eligible and ineligible for assistance based on immigration status.

The proposed rule would harm more than 55,000 children by forcing families either to break up or face eviction. Alabama Arise policy analyst Carol Gundlach submitted the following comments in opposition to this proposal:


I am writing on behalf of Alabama Arise in response to the Department of Housing and Urban Development’s (HUD) proposed rule regarding “verification of eligible status,” published in the Federal Register on May 10, 2019 (RIN 2501-AD89; HUD Docket No. FR-6124-P-01).

**Here the piece breaks off for records of crystals**
'''
No. 1
HfMg6SbO8: theoretical powder XRD pattern (Cu Kα, 1.54184 Å), based on a structure optimized by DFT (PBE).
Peak positions follow from Bragg's law for the DFT cell and can differ from measured ones.

Peak list (10 most intense, 15° ≤ 2θ ≤ 90°, in order of rising 2θ)
2θ 16.70, I = 542
2θ 20.56, I = 588
2θ 26.61, I = 651
2θ 29.24, I = 249
2θ 33.83, I = 1000
2θ 41.83, I = 526
2θ 45.31, I = 294
2θ 50.27, I = 231
2θ 54.80, I = 371
2θ 71.27, I = 322

Cell lengths 4.319, 4.319, 10.616 Å; angles 90.00, 90.00, 90.00 degrees
Space group P4/mmm (No. 123)
Symmetry-distinct sites (fractional):
Hf1 0.000 0.000 0.000 [1 per cell]
Mg1 0.000 0.500 0.271 [4 per cell]
Mg2 0.500 0.500 0.000 [1 per cell]
Mg3 0.500 0.500 0.500 [1 per cell]
Sb1 0.000 0.000 0.500 [1 per cell]
O1 0.000 0.000 0.195 [2 per cell]
O2 0.000 0.500 0.000 [2 per cell]
O3 0.000 0.500 0.500 [2 per cell]
O4 0.500 0.500 0.291 [2 per cell]

No. 2
HfMg14SnO16: theoretical powder XRD pattern (Cu Kα, 1.54184 Å), based on a structure optimized by DFT (PBE).
Peak positions follow from Bragg's law for the DFT cell and can differ from measured ones.

Peak list (10 most intense, 15° ≤ 2θ ≤ 90°, in order of rising 2θ)
2θ 20.08, I = 438
2θ 22.51, I = 671
2θ 28.60, I = 570
2θ 30.34, I = 367
2θ 35.21, I = 559
2θ 40.82, I = 1000
2θ 41.02, I = 479
2θ 59.10, I = 302
2θ 59.26, I = 583
2θ 74.46, I = 276

Cell lengths 4.418, 8.800, 8.849 Å; angles 90.00, 90.00, 90.00 degrees
Space group Pmmm (No. 47)
Symmetry-distinct sites (fractional):
Hf1 0.000 0.000 0.000 [1 per cell]
Mg1 0.000 0.261 0.252 [4 per cell]
Mg2 0.000 0.500 0.000 [1 per cell]
Mg3 0.000 0.500 0.500 [1 per cell]
Mg4 0.500 0.000 0.250 [2 per cell]
Mg5 0.500 0.258 0.000 [2 per cell]
Mg6 0.500 0.261 0.500 [2 per cell]
Mg7 0.500 0.500 0.250 [2 per cell]
Sn1 0.000 0.000 0.500 [1 per cell]
O1 0.000 0.000 0.234 [2 per cell]
O2 0.000 0.255 0.000 [2 per cell]
O3 0.000 0.275 0.500 [2 per cell]
O4 0.000 0.500 0.245 [2 per cell]
O5 0.500 0.000 0.000 [1 per cell]
O6 0.500 0.000 0.500 [1 per cell]
O7 0.500 0.249 0.252 [4 per cell]
O8 0.500 0.500 0.000 [1 per cell]
O9 0.500 0.500 0.500 [1 per cell]

No. 3
HfMg14SnO16: theoretical powder XRD pattern (Cu Kα, 1.54184 Å), based on a structure optimized by DFT (PBE).
Peak positions follow from Bragg's law for the DFT cell and can differ from measured ones.

Peak list (10 most intense, 15° ≤ 2θ ≤ 90°, in order of rising 2θ)
2θ 20.23, I = 452
2θ 24.70, I = 549
2θ 28.64, I = 390
2θ 32.24, I = 330
2θ 35.32, I = 579
2θ 38.27, I = 365
2θ 40.78, I = 521
2θ 41.13, I = 1000
2θ 59.30, I = 613
2θ 59.57, I = 298

Cell lengths 8.779, 8.779, 4.426 Å; angles 90.00, 90.00, 90.00 degrees
Space group P4/mmm (No. 123)
Symmetry-distinct sites (fractional):
Hf1 0.000 0.000 0.000 [1 per cell]
Mg1 0.000 0.255 0.500 [4 per cell]
Mg2 0.000 0.500 0.000 [2 per cell]
Mg3 0.242 0.500 0.500 [4 per cell]
Mg4 0.251 0.251 0.000 [4 per cell]
Sn1 0.500 0.500 0.000 [1 per cell]
O1 0.000 0.000 0.500 [1 per cell]
O2 0.000 0.250 0.000 [4 per cell]
'''

Alabama Arise strongly opposes this proposed rule, and we urge HUD to withdraw the rule in its entirety. We believe this rule would reduce the availability of affordable housing for some of the poorest families in the country. We believe it would increase homelessness, particularly among families with children. And we believe it would impose burdens on seniors and people with disabilities who seek affordable housing in Alabama.

Organizational purpose and interest

Arise is a nonprofit, nonpartisan coalition of congregations, organizations and individuals promoting public policies to improve the lives of Alabamians with low incomes. Arise believes acts of charity are vital, but they are not enough. We also must work to improve harmful policies. Arise provides a structure through which Alabamians can engage in public debates with the goal of improving the welfare of all Alabamians.

Our organization envisions an Alabama where all people have resources and opportunities to reach their potential to live happy, productive lives, and each successive generation is ensured a secure and healthy future. We envision an Alabama where all government leaders are responsive, inclusive and justice-serving, and where the people are engaged in the policymaking process. And we envision an Alabama where all people live with concern for the common good and respect for the humanity of every person.

Arise has engaged actively in advocacy and outreach to increase the availability of safe and affordable housing in Alabama. We were instrumental in passage of state legislation in 2006 requiring landlords to meet minimum standards for rental housing and provide tenants with basic housing rights. We successfully advocated for creation of the Alabama Housing Trust Fund (HTF) in 2012. We continue to advocate for state HTF funding to promote affordable housing for Alabamians with low and moderate incomes. And we have researched and reported on the lack of affordable housing for Alabamians with low wages.

The proposed rule would increase homelessness, especially among families and children

# Crystal structures that have nothing to do with the text
┌──
(1)
This entry pairs a crystal structure of Ce2AlBIr6 with its calculated powder XRD pattern. Radiation: Cu Ka. Structure: a crystal structure in Alexandria, relaxed with GGA-PBE.

Cell and atoms:
Cell lengths 7.2379, 7.2379, 7.2379 Å; angles 45.35, 45.35, 45.35 degrees
Fractional positions:
Ce  0.2157  0.2157  0.2157
Ce  0.7843  0.7843  0.7843
Al  0.5000  0.5000  0.5000
B  0.0000  0.0000  0.0000
Ir  0.2374  0.2374  0.7198
Ir  0.2374  0.7198  0.2374
Ir  0.2802  0.7626  0.7626
Ir  0.7198  0.2374  0.2374
Ir  0.7626  0.2802  0.7626
Ir  0.7626  0.7626  0.2802

Peak list (10 most intense, 10° ≤ 2θ ≤ 80°, by intensity)
2θ 38.4, intensity 100
2θ 41.7, intensity 77
2θ 27.5, intensity 38
2θ 29.5, intensity 27
2θ 67.1, intensity 23
2θ 37.3, intensity 18
2θ 35.0, intensity 15
2θ 53.7, intensity 14
2θ 74.0, intensity 14
2θ 60.7, intensity 13

(2)
This entry pairs a crystal structure of CeAlB2O6 with its calculated powder XRD pattern. Radiation: Cu Ka. Structure: a crystal structure in Alexandria, relaxed with GGA-PBE.

Cell and atoms:
Cell lengths 5.9859, 5.9859, 5.9859 Å; angles 47.42, 47.42, 47.42 degrees
Fractional positions:
Ce  0.0000  0.0000  0.0000
Al  0.5000  0.5000  0.5000
B  0.2348  0.2348  0.2348
B  0.7652  0.7652  0.7652
O  0.0736  0.7033  0.5078
O  0.2967  0.4922  0.9264
O  0.4922  0.9264  0.2967
O  0.5078  0.0736  0.7033
O  0.7033  0.5078  0.0736
O  0.9264  0.2967  0.4922

Peak list (10 most intense, 10° ≤ 2θ ≤ 80°, by intensity)
2θ 31.1, intensity 100
2θ 24.1, intensity 80
2θ 22.0, intensity 55
2θ 51.3, intensity 42
2θ 41.2, intensity 39
2θ 35.5, intensity 33
2θ 37.4, intensity 29
2θ 45.0, intensity 27
2θ 16.7, intensity 23
2θ 43.8, intensity 22

(3)
This entry pairs a crystal structure of Ce3AlB2Pt9 with its calculated powder XRD pattern. Radiation: Cu Ka. Structure: a crystal structure in Alexandria, relaxed with GGA-PBE.

Cell and atoms:
Cell lengths 5.7743, 5.7743, 9.3495 Å; angles 90.00, 90.00, 120.00 degrees
Fractional positions:
Ce  0.0000  0.0000  0.0000
Ce  0.3333  0.6667  0.6110
Ce  0.6667  0.3333  0.3890
Al  0.0000  0.0000  0.5000
B  0.3333  0.6667  0.1501
B  0.6667  0.3333  0.8499
Pt  0.0000  0.5000  0.0000
Pt  0.1654  0.3307  0.2909
Pt  0.1654  0.8346  0.2909
Pt  0.3307  0.1654  0.7091
Pt  0.5000  0.0000  0.0000
Pt  0.5000  0.5000  0.0000
Pt  0.6693  0.8346  0.2909
Pt  0.8346  0.1654  0.7091
Pt  0.8346  0.6693  0.7091

Peak list (10 most intense, 10° ≤ 2θ ≤ 80°, by intensity)
2θ 37.2, intensity 100
2θ 40.9, intensity 75
2θ 28.6, intensity 41
2θ 64.6, intensity 23
2θ 72.1, intensity 18
2θ 53.7, intensity 16
2θ 62.0, intensity 14
2θ 76.9, intensity 12
2θ 33.9, intensity 12
2θ 79.3, intensity 11

(4)
This entry pairs a crystal structure of Al2CoB10 with its calculated powder XRD pattern. Radiation: Cu Ka. Structure: a crystal structure in Alexandria, relaxed with GGA-PBE.

Cell and atoms:
Cell lengths 5.5837, 11.3243, 4.1245 Å; angles 90.00, 90.00, 90.00 degrees
Fractional positions:
Al  0.1850  0.0794  0.0000
└──
# The text goes on

By HUD’s own admission, the rule effectively would evict more than 55,000 children who are now eligible for subsidized housing. These are children who are U.S. citizens or have legal status themselves but live with parents who do not.

Under both federal law and existing HUD policy, families with mixed immigration status are eligible for prorated subsidized housing, based on the citizen child’s eligibility. Children, however, cannot enter into contracts for housing or apply for housing on their own. Both must be done by adult parents or guardians, who may not be eligible on their own. So to deny housing to a non-citizen parent is effectively to deny housing to an eligible citizen child.

The proposed rule would force these families either to face eviction or separate a non-citizen member from the rest of the family, including minor children. Maintaining the family unit would result in homelessness among many families eligible for prorated subsidized housing under current rules.

This proposal would increase child homelessness, which is already a serious problem in the United States. The U.S. Department of Education identified 1.3 million homeless children in 2016-17, a 70% increase since the 2007-08 school year. More than 14,000 of these children live in Alabama. This plan would harm the health, education and economic stability of tens of thousands of vulnerable children.

The proposed rule would increase the burden on seniors and people with disabilities who cannot provide proof of citizenship

The proposed rule would require applicants for subsidized housing to provide documentation of their citizenship. This would impose a significant burden on many seniors and people with disabilities, even if they are U.S. citizens.

Many Alabama seniors lack state-issued identification and do not have copies of their birth certificates. State-issued driver’s licenses or non-driver identification cards in Alabama are $36.25. And that does not include the cost of transportation to an Alabama Law Enforcement Agency office. Public transportation in rural parts of Alabama is often sparse or nonexistent, making it harder to get state-issued ID. Many seniors or people with disabilities who cannot drive must pay a neighbor to take them to town.

Copies of birth certificates in Alabama are $15, a notable expense for people barely making ends meet. Many rural areas lack high-speed internet, complicating access to the Alabama Department of Public Health’s website. And people born in other states face the added challenge of navigating another state’s rules and regulations from afar.

In some rural parts of Alabama, subsidized housing may be the only affordable housing in the area. But this proposal’s identification requirements would erect harmful, unnecessary barriers to that housing for many seniors and people with disabilities.

[Attached: crystal structures]
____________
No. 1
Structure and computed powder X-ray diffraction pattern of Rb2Ta4Se7 (a DFT-relaxed cell (PBE, Alexandria); a wavelength of 1.5418 Å).
Intensities are scaled so that the largest is 100.

Largest 8 diffraction maxima, in order of rising 2θ, 2θ = 10–90°:
2θ (°)  I (rel.)  h k l
28.19  79.5  1 1 0
29.77  44.2  1 1 1
32.83  31.2  1 0 3
34.11  100.0  1 1 2
41.69  28.0  1 0 4
43.81  38.9  2 0 3
49.91  48.4  3 0 0
52.92  22.7  3 -1 3

Structure:
```
data_Rb2Ta4Se7
_chemical_formula_sum 'Rb2 Ta4 Se7'
_space_group_name_H-M_alt 'P -3 1 m'
_space_group_IT_number 162
_space_group_name_Hall '-P 3 2'
_cell_length_a 6.3302
_cell_length_b 6.3302
_cell_length_c 9.4344
_cell_angle_alpha 90.00
_cell_angle_beta 90.00
_cell_angle_gamma 120.00
loop_
_atom_site_label
_atom_site_fract_x
_atom_site_fract_y
_atom_site_fract_z
Rb1 0.3333 0.6667 0.0000
Ta1 0.0000 0.0000 0.3611
Ta2 0.3333 0.6667 0.5000
Se1 0.0000 0.0000 0.0000
Se2 0.0000 0.3890 0.3080
```

No. 2
Structure and computed powder X-ray diffraction pattern of InBIr (a DFT-relaxed cell (PBE, Alexandria); a wavelength of 1.5418 Å).
Intensities are scaled so that the largest is 100.

Largest 8 diffraction maxima, in order of rising 2θ, 2θ = 10–90°:
2θ (°)  I (rel.)  h k l
21.90  24.7  0 0 2
34.29  100.0  0 1 2
35.09  94.5  1 0 2
37.94  88.5  1 1 0
44.23  21.1  1 1 2
60.00  21.2  1 1 4
65.70  30.2  1 2 2
67.19  28.2  2 1 2

Structure:
```
data_InBIr
_chemical_formula_sum 'In2 B2 Ir2'
_space_group_name_H-M_alt 'P m m n'
_space_group_IT_number 59
_cell_length_a 3.293
_cell_length_b 3.419
_cell_length_c 8.117
_cell_angle_alpha 90.00
_cell_angle_beta 90.00
_cell_angle_gamma 90.00
loop_
_space_group_symop_operation_xyz
'x,y,z'
'-x,-y,-z'
'-x+1/2,-y+1/2,z'
'x+1/2,y+1/2,-z'
'x+1/2,-y,-z'
'-x+1/2,y,z'
'-x,y+1/2,-z'
'x,-y+1/2,z'
loop_
_atom_site_label
_atom_site_fract_x
_atom_site_fract_y
_atom_site_fract_z
In1 0.250 0.250 0.141
B1 0.250 0.750 0.504
Ir1 0.250 0.250 0.668
```

~~~~~

# 1
Structure and calculated XRD peak list of Ba2Li3ZrF12 (a DFT-relaxed cell (PBE, Alexandria); Cu Kα).

```
Ba2Li3ZrF12
1.0
3.289 1.899 6.942
-3.289 1.899 6.942
0.000 -3.798 6.942
Ba Li Zr F
2 3 1 12
Direct
0.103 0.103 0.103
0.897 0.897 0.897
0.000 0.500 0.500
0.500 0.000 0.500
0.500 0.500 0.000
0.500 0.500 0.500
0.124 0.629 0.629
0.223 0.223 0.652
0.223 0.652 0.223
0.348 0.777 0.777
0.371 0.371 0.876
0.371 0.876 0.371
0.629 0.124 0.629
0.629 0.629 0.124
0.652 0.223 0.223
0.777 0.348 0.777
0.777 0.777 0.348
0.876 0.371 0.371
```

Largest 6 diffraction maxima, in order of rising 2θ, 2θ from 5° to 70°:
12.8°, I = 47.7; 17.7°, I = 82.3; 26.5°, I = 81.9; 27.1°, I = 70.6; 30.1°, I = 52.1; 38.3°, I = 100.0


# 2
Structure and calculated XRD peak list of BaLiZr2F11 (a DFT-relaxed cell (PBE, Alexandria); Cu Kα).

```
BaLiZr2F11
1.0
-4.178 4.178 5.704
4.178 -4.178 5.704
4.178 4.178 -5.704
Ba Li Zr F
2 2 4 22
Direct
0.191 0.191 0.000
0.809 0.809 0.000
0.250 0.750 0.500
0.750 0.250 0.500
0.217 0.636 0.853
0.364 0.217 0.581
0.636 0.783 0.419
____________

The proposed rule would reduce the availability of affordable housing for all families in poverty

This rule’s damaging effects would reach well beyond mixed-status households. As families who are only eligible for prorated rental assistance lost housing, families eligible for full-family subsidies would replace them. If HUD replaced the 25,000 mixed-status families with those eligible for full subsidies, the increased federal cost to house these families would be $65 million annually. Absent increased appropriations, this change would lead to reductions in either the amount or quality of subsidized housing available for low-income renters, including U.S. citizens.


Alabama Arise believes the proposed rule would reduce the availability of affordable housing for all families with low incomes. We also believe it would increase family homelessness and negatively impact seniors and people with disabilities. Arise urges HUD to withdraw its current proposal immediately. And we urge the agency to work instead to strengthen its commitment to affordable housing for all families in the United States.